File:
____________
DFT (GGA-PBE) results for Ce2V2C3 after structural relaxation.

Cell and atoms, written as CIF:
```
data_Ce2V2C3
_symmetry_space_group_name_H-M 'P 1'
_symmetry_Int_Tables_number 1
_symmetry_space_group_name_Hall 'P 1'
_cell_length_a 3.324
_cell_length_b 5.627
_cell_length_c 6.225
_cell_angle_alpha 115.19
_cell_angle_beta 105.49
_cell_angle_gamma 90.00
loop_
_atom_site_label
_atom_site_fract_x
_atom_site_fract_y
_atom_site_fract_z
Ce1 0.600 0.800 0.200
Ce2 0.400 0.200 0.800
V1 0.162 0.322 0.324
V2 0.838 0.678 0.676
C1 0.000 0.000 0.000
C2 0.250 0.726 0.499
C3 0.750 0.274 0.501
```

Symmetry: No. 12
Mass density, g/cm³: 6.90
Formation enthalpy at 0 K, eV/atom: -0.3522
DOS(E_F), states/eV/f.u.: 8.5

DFT (GGA-PBE) results for Ce2VC3 after structural relaxation.

Cell and atoms, written as CIF:
```
data_Ce2VC3
_symmetry_space_group_name_H-M 'P 1'
_symmetry_Int_Tables_number 1
_symmetry_space_group_name_Hall 'P 1'
_cell_length_a 3.281
_cell_length_b 5.835
_cell_length_c 9.149
_cell_angle_alpha 90.00
_cell_angle_beta 100.33
_cell_angle_gamma 90.00
loop_
_atom_site_label
_atom_site_fract_x
_atom_site_fract_y
_atom_site_fract_z
Ce1 0.830 0.250 0.659
Ce2 0.170 0.750 0.341
Ce3 0.010 0.250 0.020
Ce4 0.990 0.750 0.980
V1 0.344 0.750 0.689
V2 0.656 0.250 0.311
C1 0.783 0.750 0.565
C2 0.412 0.497 0.823
C3 0.412 0.003 0.823
C4 0.588 0.997 0.177
C5 0.217 0.250 0.435
C6 0.588 0.503 0.177
```

Symmetry: No. 63
Mass density, g/cm³: 7.08
Formation enthalpy at 0 K, eV/atom: -0.0582
DOS(E_F), states/eV/f.u.: 5.0

DFT (GGA-PBE) results for CeV2C after structural relaxation.

Cell and atoms, written as CIF:
```
data_CeV2C
_symmetry_space_group_name_H-M 'P 1'
_symmetry_Int_Tables_number 1
_symmetry_space_group_name_Hall 'P 1'
_cell_length_a 2.938
_cell_length_b 2.938
_cell_length_c 8.022
_cell_angle_alpha 79.45
_cell_angle_beta 79.45
_cell_angle_gamma 60.00
loop_
_atom_site_label
_atom_site_fract_x
_atom_site_fract_y
_atom_site_fract_z
V1 0.714 0.714 0.859
V2 0.286 0.286 0.141
C1 0.000 0.000 0.000
Ce1 0.500 0.500 0.500
```

Symmetry: No. 166
E above lowest polymorph, meV per atom: 0
Mass density, g/cm³: 7.20
Formation enthalpy at 0 K, eV/atom: -0.1367
DOS(E_F), states/eV/f.u.: 4.7

DFT (GGA-PBE) results for CeVC2 after structural relaxation.

Cell and atoms, written as CIF:
```
data_CeVC2
_symmetry_space_group_name_H-M 'P 1'
_symmetry_Int_Tables_number 1
_symmetry_space_group_name_Hall 'P 1'
_cell_length_a 3.192
_cell_length_b 3.192
_cell_length_c 5.910
_cell_angle_alpha 74.33
_cell_angle_beta 74.33
_cell_angle_gamma 60.00
loop_
_atom_site_label
_atom_site_fract_x
_atom_site_fract_y
_atom_site_fract_z
C1 0.733 0.733 0.802
C2 0.267 0.267 0.198
Ce1 0.500 0.500 0.500
V1 0.000 0.000 0.000
```

Symmetry: No. 166
Mass density, g/cm³: 7.21
Formation enthalpy at 0 K, eV/atom: -0.1263
DOS(E_F), states/eV/f.u.: 2.1

DFT (GGA-PBE) results for CeVWC3 after structural relaxation.

Cell and atoms, written as CIF:
```
data_CeVWC3
_symmetry_space_group_name_H-M 'P 1'
_symmetry_Int_Tables_number 1
_symmetry_space_group_name_Hall 'P 1'
_cell_length_a 3.169
_cell_length_b 5.567
_cell_length_c 8.276
_cell_angle_alpha 101.75
_cell_angle_beta 90.00
_cell_angle_gamma 90.00
loop_
_atom_site_label
_atom_site_fract_x
_atom_site_fract_y
_atom_site_fract_z
W1 0.250 0.775 0.050
W2 0.750 0.225 0.950
C1 0.750 0.037 0.155
C2 0.750 0.223 0.519
C3 0.250 0.777 0.481
C4 0.750 0.578 0.150
C5 0.250 0.422 0.850
C6 0.250 0.963 0.845
V1 0.250 0.115 0.636
V2 0.750 0.885 0.364
Ce1 0.750 0.638 0.696
Ce2 0.250 0.362 0.304
```

Symmetry: No. 11
Mass density, g/cm³: 9.55
Formation enthalpy at 0 K, eV/atom: -0.2238
DOS(E_F), states/eV/f.u.: 3.9

DFT (GGA-PBE) results for CeW2C2 after structural relaxation.

Cell and atoms, written as CIF:
```
data_CeW2C2
_symmetry_space_group_name_H-M 'P 1'
_symmetry_Int_Tables_number 1
_symmetry_space_group_name_Hall 'P 1'
_cell_length_a 5.730
_cell_length_b 5.730
_cell_length_c 5.844
_cell_angle_alpha 112.11
_cell_angle_beta 112.11
_cell_angle_gamma 103.41
loop_
____________

Activity:
It remains to give back all of the listing above character by character.

Reply:
DFT (GGA-PBE) results for Ce2V2C3 after structural relaxation.

Cell and atoms, written as CIF:
```
data_Ce2V2C3
_symmetry_space_group_name_H-M 'P 1'
_symmetry_Int_Tables_number 1
_symmetry_space_group_name_Hall 'P 1'
_cell_length_a 3.324
_cell_length_b 5.627
_cell_length_c 6.225
_cell_angle_alpha 115.19
_cell_angle_beta 105.49
_cell_angle_gamma 90.00
loop_
_atom_site_label
_atom_site_fract_x
_atom_site_fract_y
_atom_site_fract_z
Ce1 0.600 0.800 0.200
Ce2 0.400 0.200 0.800
V1 0.162 0.322 0.324
V2 0.838 0.678 0.676
C1 0.000 0.000 0.000
C2 0.250 0.726 0.499
C3 0.750 0.274 0.501
```

Symmetry: No. 12
Mass density, g/cm³: 6.90
Formation enthalpy at 0 K, eV/atom: -0.3522
DOS(E_F), states/eV/f.u.: 8.5

DFT (GGA-PBE) results for Ce2VC3 after structural relaxation.

Cell and atoms, written as CIF:
```
data_Ce2VC3
_symmetry_space_group_name_H-M 'P 1'
_symmetry_Int_Tables_number 1
_symmetry_space_group_name_Hall 'P 1'
_cell_length_a 3.281
_cell_length_b 5.835
_cell_length_c 9.149
_cell_angle_alpha 90.00
_cell_angle_beta 100.33
_cell_angle_gamma 90.00
loop_
_atom_site_label
_atom_site_fract_x
_atom_site_fract_y
_atom_site_fract_z
Ce1 0.830 0.250 0.659
Ce2 0.170 0.750 0.341
Ce3 0.010 0.250 0.020
Ce4 0.990 0.750 0.980
V1 0.344 0.750 0.689
V2 0.656 0.250 0.311
C1 0.783 0.750 0.565
C2 0.412 0.497 0.823
C3 0.412 0.003 0.823
C4 0.588 0.997 0.177
C5 0.217 0.250 0.435
C6 0.588 0.503 0.177
```

Symmetry: No. 63
Mass density, g/cm³: 7.08
Formation enthalpy at 0 K, eV/atom: -0.0582
DOS(E_F), states/eV/f.u.: 5.0

DFT (GGA-PBE) results for CeV2C after structural relaxation.

Cell and atoms, written as CIF:
```
data_CeV2C
_symmetry_space_group_name_H-M 'P 1'
_symmetry_Int_Tables_number 1
_symmetry_space_group_name_Hall 'P 1'
_cell_length_a 2.938
_cell_length_b 2.938
_cell_length_c 8.022
_cell_angle_alpha 79.45
_cell_angle_beta 79.45
_cell_angle_gamma 60.00
loop_
_atom_site_label
_atom_site_fract_x
_atom_site_fract_y
_atom_site_fract_z
V1 0.714 0.714 0.859
V2 0.286 0.286 0.141
C1 0.000 0.000 0.000
Ce1 0.500 0.500 0.500
```

Symmetry: No. 166
E above lowest polymorph, meV per atom: 0
Mass density, g/cm³: 7.20
Formation enthalpy at 0 K, eV/atom: -0.1367
DOS(E_F), states/eV/f.u.: 4.7

DFT (GGA-PBE) results for CeVC2 after structural relaxation.

Cell and atoms, written as CIF:
```
data_CeVC2
_symmetry_space_group_name_H-M 'P 1'
_symmetry_Int_Tables_number 1
_symmetry_space_group_name_Hall 'P 1'
_cell_length_a 3.192
_cell_length_b 3.192
_cell_length_c 5.910
_cell_angle_alpha 74.33
_cell_angle_beta 74.33
_cell_angle_gamma 60.00
loop_
_atom_site_label
_atom_site_fract_x
_atom_site_fract_y
_atom_site_fract_z
C1 0.733 0.733 0.802
C2 0.267 0.267 0.198
Ce1 0.500 0.500 0.500
V1 0.000 0.000 0.000
```

Symmetry: No. 166
Mass density, g/cm³: 7.21
Formation enthalpy at 0 K, eV/atom: -0.1263
DOS(E_F), states/eV/f.u.: 2.1

DFT (GGA-PBE) results for CeVWC3 after structural relaxation.

Cell and atoms, written as CIF:
```
data_CeVWC3
_symmetry_space_group_name_H-M 'P 1'
_symmetry_Int_Tables_number 1
_symmetry_space_group_name_Hall 'P 1'
_cell_length_a 3.169
_cell_length_b 5.567
_cell_length_c 8.276
_cell_angle_alpha 101.75
_cell_angle_beta 90.00
_cell_angle_gamma 90.00
loop_
_atom_site_label
_atom_site_fract_x
_atom_site_fract_y
_atom_site_fract_z
W1 0.250 0.775 0.050
W2 0.750 0.225 0.950
C1 0.750 0.037 0.155
C2 0.750 0.223 0.519
C3 0.250 0.777 0.481
C4 0.750 0.578 0.150
C5 0.250 0.422 0.850
C6 0.250 0.963 0.845
V1 0.250 0.115 0.636
V2 0.750 0.885 0.364
Ce1 0.750 0.638 0.696
Ce2 0.250 0.362 0.304
```

Symmetry: No. 11
Mass density, g/cm³: 9.55
Formation enthalpy at 0 K, eV/atom: -0.2238
DOS(E_F), states/eV/f.u.: 3.9

DFT (GGA-PBE) results for CeW2C2 after structural relaxation.

Cell and atoms, written as CIF:
```
data_CeW2C2
_symmetry_space_group_name_H-M 'P 1'
_symmetry_Int_Tables_number 1
_symmetry_space_group_name_Hall 'P 1'
_cell_length_a 5.730
_cell_length_b 5.730
_cell_length_c 5.844
_cell_angle_alpha 112.11
_cell_angle_beta 112.11
_cell_angle_gamma 103.41
loop_